Entries
- - -
No. 1
168
Properties=species:S:1:pos:R:3:forces:R:3 method="wB97M-V/def2-TZVPD" multiplicity=1 lumo_ev=-0.02 e_homo_ev=-9.48 total_energy_ev=-189934.6879 gap_ev=9.46
C -8.5808 7.2908 0.1910 -0.6886 0.0721 -0.3585
C -8.1177 8.6179 -0.4287 -0.7406 -0.6645 1.2012
C -7.3696 9.4703 0.6236 1.9813 -0.8576 -2.0465
F -7.0189 10.6380 0.0449 0.1318 0.2670 -0.0554
F -8.0347 9.7345 1.7232 -1.3410 0.0077 0.9046
F -7.4049 8.2886 -1.5120 1.0850 0.5168 -0.1468
F -9.1656 9.3429 -0.8782 -0.5417 -0.1999 0.1651
O -7.4574 6.5190 0.6464 -0.1601 -0.6558 0.8450
C -7.8139 5.3808 1.4228 0.1103 1.8989 -2.4197
C -6.5166 4.7022 1.8715 1.2543 1.1584 1.6355
F -6.6739 3.5267 2.4728 -1.0316 -1.2167 -0.1859
F -5.6180 4.5741 0.8996 -0.0848 -0.2261 -1.1128
F -8.5005 5.8405 2.4845 -0.2623 -1.0264 0.0476
F -8.5803 4.5778 0.6248 0.1415 0.1633 1.1921
H -9.0878 6.7484 -0.6070 -0.0879 -0.0184 0.0109
H -9.3022 7.5375 0.9700 0.1533 -0.2321 0.2532
H -6.4846 8.8864 0.8763 0.3632 0.2496 0.1530
H -6.0360 5.2968 2.6484 -0.2742 0.7538 -0.0928
C 9.9543 3.7936 0.4132 0.3940 -0.2196 1.3244
C 9.7348 5.3109 0.3532 -0.0480 -1.7779 -0.3246
C 11.0150 6.0718 0.8014 -0.3615 1.8457 -0.1168
F 11.4190 5.6904 2.0481 -0.0375 -0.5504 -0.7952
F 12.0172 5.9825 -0.1095 -0.0396 -1.0184 0.2878
F 9.3226 5.6688 -0.8831 0.7355 0.3843 -0.2810
F 8.7106 5.6374 1.1520 -0.1654 0.4482 0.8802
O 8.8252 3.0637 -0.0531 -0.5830 0.0768 -0.8139
C 8.6181 1.7804 0.4482 0.7415 2.0440 -2.0601
C 7.5698 1.0224 -0.3452 1.6737 1.6169 -4.4032
F 7.4419 -0.1980 0.0285 -0.5366 -2.7887 2.0968
F 6.3937 1.6040 -0.5117 -1.4853 0.9929 1.2291
F 9.7850 1.1378 0.3213 0.6220 -1.0892 0.2091
F 8.2859 1.8323 1.6813 -0.5485 -0.0672 3.4304
H 10.1278 3.5576 1.4631 -0.2013 0.1409 0.2802
H 10.9257 3.5532 -0.0188 -0.3063 -0.2282 -0.8624
H 10.8431 7.1466 0.8603 -0.5981 0.0132 0.1218
H 7.9300 0.9685 -1.3725 0.7212 0.1853 -0.2076
C 7.6403 -4.5065 7.7780 -1.1570 -0.2367 -0.9135
C 8.2371 -4.2161 9.1340 -1.1506 1.6554 -0.8438
C 9.6180 -4.8402 9.2593 -0.0524 0.8359 -1.2344
F 10.2184 -4.3490 10.3179 0.6918 0.1410 1.7193
F 9.4688 -6.1583 9.3281 -0.0745 -1.2357 0.4394
F 8.3244 -2.8389 9.2692 0.3290 -0.9376 0.1529
F 7.3893 -4.6588 10.0893 0.3971 -0.0146 0.1826
O 6.3860 -3.8143 7.5532 -0.1036 1.3196 -0.6666
C 6.3240 -3.1298 6.3002 0.1864 -2.1095 2.1472
C 5.0092 -2.3536 6.1818 0.4219 2.5183 2.4854
F 4.8119 -1.7120 5.0243 0.4303 -0.5703 -0.6821
F 3.8850 -2.9569 6.5507 -0.4029 -1.5982 -0.4906
F 7.3822 -2.2759 6.2433 -0.7031 -0.2603 -0.7518
F 6.4117 -4.0812 5.3753 0.5853 0.0221 -1.2969
H 7.3864 -5.5665 7.7658 0.2567 -0.0991 -0.1591
H 8.3095 -4.2577 6.9545 0.3144 -0.1782 0.3224
H 10.2700 -4.6319 8.4111 -0.2191 0.1973 -0.3520
H 5.1339 -1.6074 6.9665 0.2416 0.5490 -0.0686
C -4.8458 -8.9296 -1.3359 0.6167 0.4458 0.6693
C -6.0574 -8.1328 -0.9397 -0.7912 -0.4603 0.2396
C -5.7237 -6.7349 -1.3557 0.4660 -0.0241 -0.4613
O -4.9699 -6.9090 -2.5706 -0.1869 0.9865 0.1061
C -4.4220 -8.1899 -2.6106 -0.6211 -1.8645 0.5299
H -5.0390 -9.9949 -1.4617 0.0748 0.0957 -0.1472
H -4.0587 -8.8026 -0.5927 -0.0037 -0.1631 0.2563
H -6.3563 -8.2414 0.1029 0.0054 0.0552 -0.0237
H -6.8878 -8.4253 -1.5824 -0.2474 -0.2675 0.1519
H -5.0714 -6.2197 -0.6507 -0.2827 0.2582 0.2554
H -6.6467 -6.2026 -1.5857 0.3188 0.4578 0.0678
H -3.3329 -8.2186 -2.6437 -0.0468 0.2888 -0.7200
H -4.9541 -8.7702 -3.3644 0.7102 0.2051 -0.9280
C 3.0000 4.2736 -3.4425 0.6746 0.5263 -0.0626
C 4.4074 4.6963 -3.0530 0.8754 0.4617 0.5640
C 4.3864 6.2589 -3.1689 -0.3902 -0.9858 -0.1916
O 3.1561 6.5818 -3.8592 0.4242 -0.1182 0.2887
C 2.6547 5.3764 -4.4231 -0.6294 0.1925 -0.3847
H 2.4057 4.3832 -2.5354 -0.5077 -0.3386 -0.2796
H 2.9483 3.2896 -3.9085 -0.1272 -0.0405 0.3315
H 5.1674 4.2032 -3.6591 -0.0184 0.3326 -0.3811
H 4.7079 4.4649 -2.0311 -0.3133 -0.3012 0.1085
H 5.2840 6.6207 -3.6705 -0.1698 0.1614 -0.4068
H 4.3747 6.7243 -2.1834 -0.2377 0.0427 -0.0100
H 3.0564 5.2626 -5.4300 0.6175 -0.4591 -0.0452
H 1.5848 5.4220 -4.6265 -0.1890 0.5150 0.4852
C 1.9915 -7.5467 -3.7645 -0.2980 -0.8166 0.7798
- - -

Exercise
Say how many lines of the data earlier on hold the word "method", as a bare number, please.

Completed
1